Agile Codelines and Shared Traffic Space
Crystal structures that have nothing to do with the entry =
/*
(1)
MgV8Zn4O16 | PBE+U | optimized geometry

Cell: 3.189 10.515 10.342 Å, 94.21 104.06 90.05°
Fractional coordinates of all 29 atoms:
O 0.715 0.101 0.468
O 0.109 0.946 0.270
O 0.770 0.051 0.796
O 0.985 0.238 0.223
O 0.572 0.734 0.283
O 0.618 0.397 0.479
O 0.169 0.605 0.498
O 0.728 0.520 0.728
O 0.253 0.338 0.977
O 0.755 0.868 0.005
O 0.053 0.760 0.766
O 0.853 0.584 0.021
O 0.511 0.464 0.222
O 0.285 0.888 0.520
O 0.277 0.275 0.706
O 0.321 0.072 0.030
V 0.901 0.410 0.109
V 0.576 0.579 0.377
V 0.316 0.082 0.601
V 0.699 0.917 0.393
V 0.258 0.601 0.885
V 0.189 0.442 0.595
V 0.905 0.060 0.139
V 0.167 0.910 0.897
Zn 0.965 0.745 0.154
Zn 0.451 0.755 0.643
Zn 0.582 0.247 0.348
Zn 0.832 0.357 0.807
Mg 0.328 0.165 0.873

Calculated values
M_tot in μB per formula unit: 18.0
Calculated density in Mg/m³: 4.7
SG: P1 (1)
Offset from the most stable computed form in meV per atom: 19
Energy of formation in eV/atom: -2.13



(2)
V18Cu20O57 | PBE+U | optimized geometry

Cell: 7.854 12.206 12.207 Å, 64.03 87.23 87.23°
Fractional coordinates of all 95 atoms:
V 0.081 0.590 0.301
V 0.252 0.073 0.366
V 0.919 0.410 0.699
V 0.417 0.249 0.968
V 0.485 0.307 0.190
V 0.196 0.024 0.138
V 0.804 0.976 0.862
V 0.148 0.642 0.524
V 0.905 0.713 0.887
V 0.852 0.358 0.476
V 0.515 0.693 0.810
V 0.748 0.927 0.634
V 0.762 0.621 0.449
V 0.583 0.751 0.032
V 0.570 0.045 0.211
V 0.238 0.379 0.551
V 0.095 0.287 0.113
V 0.430 0.955 0.789
O 0.584 0.415 0.218
O 0.215 0.347 0.962
O 0.151 0.650 0.152
O 0.646 0.177 0.239
O 0.604 0.136 0.042
O 0.982 0.845 0.902
O 0.018 0.155 0.098
O 0.454 0.989 0.373
O 0.253 0.051 0.751
O 0.063 0.205 0.294
O 0.585 0.716 0.417
O 0.731 0.536 0.626
O 0.396 0.864 0.958
O 0.627 0.784 0.641
O 0.120 0.320 0.706
O 0.133 0.982 0.306
O 0.086 0.918 0.116
O 0.416 0.585 0.782
O 0.785 0.653 0.038
O 0.415 0.284 0.583
O 0.000 0.500 0.500
O 0.484 0.315 0.818
O 0.849 0.350 0.848
O 0.746 0.611 0.843
O 0.250 0.748 0.550
O 0.937 0.795 0.706
O 0.269 0.464 0.374
O 0.747 0.949 0.249
O 0.914 0.082 0.884
O 0.354 0.823 0.761
O 0.285 0.122 0.976
O 0.469 0.646 0.973
O 0.081 0.616 0.918
O 0.685 0.489 0.429
O 0.800 0.314 0.640
O 0.254 0.389 0.157
O 0.880 0.680 0.294
O 0.079 0.278 0.512
O 0.750 0.252 0.450
O 0.546 0.011 0.627
O 0.042 0.549 0.692
O 0.516 0.685 0.182
O 0.867 0.018 0.694
O 0.409 0.945 0.184
O 0.921 0.722 0.488
O 0.667 0.833 0.833
O 0.818 0.983 0.485
O 0.315 0.511 0.571
O 0.182 0.017 0.515
O 0.531 0.354 0.027
O 0.591 0.055 0.816
O 0.200 0.686 0.360
O 0.919 0.384 0.082
O 0.715 0.878 0.024
O 0.958 0.451 0.308
O 0.333 0.167 0.167
O 0.373 0.216 0.359
Cu 0.746 0.435 0.950
Cu 0.161 0.824 0.020
Cu 0.415 0.768 0.282
Cu 0.839 0.176 0.980
Cu 0.848 0.850 0.166
Cu 0.171 0.844 0.648
Cu 0.152 0.150 0.834
Cu 0.818 0.485 0.166
Cu 0.254 0.565 0.050
Cu 0.829 0.156 0.352
Cu 0.494 0.490 0.688
Cu 0.514 0.181 0.500
Cu 0.182 0.515 0.834
Cu 0.168 0.332 0.332
Cu 0.486 0.819 0.500
Cu 0.585 0.232 0.718
Cu 0.832 0.668 0.668
Cu 0.506 0.510 0.312
Cu 0.919 0.900 0.383
Cu 0.081 0.100 0.617

Calculated values
*/
End of the crystal structures =

The way an agile team works with their codeline is analogous to a shared space traffic model. As reported by NPR, shared space is an approach where most traffic signals and markings are removed; drivers, cyclists, and pedestrians are guided by a small set of rules. The approach works because all of the participants need to be more aware of their behaviors and follow the social conventions that govern travel.
Like most metaphors, this one isn’t perfect. But it’s close. Some of the traditional ways teams keep their codeline stable involve delaying integration into a single codeline:
- Staged integration
- Delayed integration using task or feature branches
- Requirements for extensive testing before checking in code
Each of these approaches gives you more stability by slowing down the rate of change on the main development line, rather like adding traffic lights on a road. If everyone pays attention to the signals, you may be safer, but you’ll get to your destination more slowly—and things can still go wrong.
By contrast, an agile team working on a single codeline using continuous integration works in an environment where progress moves more quickly because changes are integrated to the main development line frequently.
The increased awareness, analogous to how a shared space traffic model works, comes from two places:
- Development practices, such as private workspaces and builds, test-driven development, and pair programming, that help prevent errors from entering the codeline
- Notifications from the integration build when there are errors, and a commitment from the team to fix these errors as soon as they occur
Even when developers are careful to follow agile engineering practices and attend to quality, mistakes will happen, and unknown problems will occur. But that’s OK. The goal is not to avoid all problems; doing so would be impossible, and attempts to do so would slow down the team. The goal of agile development practices is to be disciplined enough to avoid significant problems so that the team can make rapid progress, as represented by working code.
There may be cases where slowing things down briefly makes sense. But it’s important to be aware of the impact of adding roadblocks and “traffic controls” to your development process. Rather than moving more slowly to ensure a stable codeline, consider approaches that keep the team more aware of the impact of their changes on the larger goal and help the team to make progress.